[Input]
........
(1)
First-principles (PBE) data for crystalline MgP4Br12O4 at its relaxed geometry, as listed in the Materials Project.

Values from the calculation:
Its calculated density is 2.4 Mg/m³.

Lattice parameters (Å, degrees): 7.1047 10.2539 11.2184 89.23 89.66 80.99
Last column: nearest neighbours and their distance in Å.
Fractional coordinates of all 21 atoms:
Mg: 0.0000 0.0000 0.0000  1 O 1.98
P: 0.1260 0.3108 0.9950  1 O 1.49
P: 0.4259 0.7839 0.0057  1 O 1.48
P: 0.5947 0.1870 0.5176  1 O 1.48
P: 0.8753 0.6834 0.5030  1 O 1.47
Br: 0.1153 0.5198 0.5092  1 P 2.20
Br: 0.1566 0.8408 0.8432  1 Mg 2.55, 1 P 2.64
Br: 0.1863 0.8648 0.1686  1 P 2.55, 1 Mg 2.58
Br: 0.2685 0.3379 0.1614  1 P 2.17
Br: 0.2991 0.3713 0.8505  1 P 2.17
Br: 0.4291 0.0273 0.5557  1 P 2.20
Br: 0.6593 0.0482 0.0317  1 Mg 2.42
Br: 0.6993 0.6391 0.3519  1 P 2.21
Br: 0.6997 0.6513 0.6611  1 P 2.21
Br: 0.7309 0.1363 0.3448  1 P 2.19
Br: 0.8273 0.1605 0.6491  1 P 2.20
Br: 0.8599 0.4488 0.9964  1 P 2.18
O: 0.0944 0.1712 0.9798  1 P 1.49
O: 0.4724 0.6385 0.0196  1 P 1.48
O: 0.4789 0.3199 0.5201  1 P 1.48
O: 0.9322 0.8154 0.4969  1 P 1.47


(2)
First-principles (PBE) data for crystalline MgP4Br12O4 at its relaxed geometry, as listed in the Materials Project.

Values from the calculation:
Its calculated density is 2.4 Mg/m³.

Lattice parameters (Å, degrees): 7.5792 9.8496 11.1209 88.17 82.44 79.12
Last column: nearest neighbours and their distance in Å.
Fractional coordinates of all 21 atoms:
Mg: 0.0000 0.0000 0.0000  1 O 1.98
P: 0.0539 0.1958 0.2281  1 O 1.50
P: 0.2412 0.2375 0.7319  1 O 1.48
P: 0.4235 0.6893 0.1552  1 O 1.50
P: 0.7565 0.7265 0.6027  1 O 1.47
Br: 0.0200 0.1037 0.7622  1 P 2.31
Br: 0.0932 0.4417 0.7906  1 P 2.18
Br: 0.1671 0.3819 0.2274  1 P 2.17
Br: 0.2137 0.0382 0.3329  1 P 2.19
Br: 0.2397 0.7903 0.9649  1 Mg 2.48, 1 P 2.74
Br: 0.4255 0.1547 0.8646  1 P 2.20
Br: 0.5789 0.9231 0.5628  1 P 2.21
Br: 0.5926 0.5677 0.5824  1 P 2.21
Br: 0.5954 0.5060 0.0423  1 P 2.32
Br: 0.6812 0.9880 0.0431  1 Mg 2.42
Br: 0.7834 0.2396 0.3302  1 P 2.18
Br: 0.9716 0.6955 0.4476  1 P 2.20
O: 0.0508 0.1443 0.1029  1 P 1.50
O: 0.2878 0.6318 0.2424  1 P 1.50
O: 0.3215 0.2296 0.6032  1 P 1.48
O: 0.8231 0.7246 0.7216  1 P 1.47


Bottom line: (1), by a margin of 0.017 eV/atom.


(1)
First-principles (PBE) data for crystalline MgTe4Pb6Br4O12 at its relaxed geometry, as listed in the Materials Project.

Values from the calculation:
Its calculated density is 6.6 Mg/m³.

Lattice parameters (Å, degrees): 9.5007 9.5007 11.3640 106.35 106.35 35.82
Last column: nearest neighbours and their distance in Å.
Fractional coordinates of all 27 atoms:
Mg: 0.0000 0.0000 0.0000  2 Br 2.55
Te: 0.0657 0.7390 0.4485  4 O 1.97-2.10
Te: 0.2610 0.9343 0.5515  4 O 1.97-2.10
Te: 0.5094 0.2272 0.9193  3 O 1.92-2.02
Te: 0.7728 0.4906 0.0807  3 O 1.92-2.02
Pb: 0.0032 0.6468 0.1008  5 O 2.44-2.67
Pb: 0.3532 0.9968 0.8992  5 O 2.44-2.67
Pb: 0.4217 0.0792 0.2929  4 O 2.39-2.66
Pb: 0.6272 0.3083 0.3006  3 O 2.41-2.46
Pb: 0.6917 0.3728 0.6994  3 O 2.41-2.46
Pb: 0.9208 0.5783 0.7071  4 O 2.39-2.66
Br: 0.1506 0.7644 0.7897  1 Mg 2.55
Br: 0.2356 0.8494 0.2103  1 Mg 2.55
Br: 0.4746 0.1601 0.6053  4 Pb 3.40-3.71, 1 Te 3.41, 2 O 3.65-3.75
Br: 0.8399 0.5254 0.3947  4 Pb 3.40-3.71, 1 Te 3.41, 2 O 3.65-3.75
O: 0.0580 0.2046 0.6793  1 Te 1.97
O: 0.0893 0.3279 0.1092  1 Te 1.93
O: 0.1880 0.3782 0.8877  1 Te 2.02
O: 0.2606 0.4793 0.3156  1 Te 1.97
O: 0.3785 0.6215 0.5000  2 Te 2.10
O: 0.4744 0.2883 0.0913  1 Te 1.92
O: 0.5207 0.7394 0.6844  1 Te 1.97
O: 0.6218 0.8119 0.1123  1 Te 2.02
O: 0.6721 0.9107 0.8908  1 Te 1.93
O: 0.7117 0.5256 0.9087  1 Te 1.92
O: 0.7954 0.9420 0.3207  1 Te 1.97
O: 0.9574 0.0426 0.5000  2 Te 2.07


(2)
First-principles (PBE) data for crystalline MgTe4Pb6Br4O12 at its relaxed geometry, as listed in the Materials Project.

Values from the calculation:
Its calculated density is 6.2 Mg/m³.

Lattice parameters (Å, degrees): 5.7967 9.5046 12.1397 104.76 90.75 106.79
........
[Assignment]
Write out the lines above up to the one that holds "Br: 0.2356", that line included.
[Completed]
(1)
First-principles (PBE) data for crystalline MgP4Br12O4 at its relaxed geometry, as listed in the Materials Project.

Values from the calculation:
Its calculated density is 2.4 Mg/m³.

Lattice parameters (Å, degrees): 7.1047 10.2539 11.2184 89.23 89.66 80.99
Last column: nearest neighbours and their distance in Å.
Fractional coordinates of all 21 atoms:
Mg: 0.0000 0.0000 0.0000  1 O 1.98
P: 0.1260 0.3108 0.9950  1 O 1.49
P: 0.4259 0.7839 0.0057  1 O 1.48
P: 0.5947 0.1870 0.5176  1 O 1.48
P: 0.8753 0.6834 0.5030  1 O 1.47
Br: 0.1153 0.5198 0.5092  1 P 2.20
Br: 0.1566 0.8408 0.8432  1 Mg 2.55, 1 P 2.64
Br: 0.1863 0.8648 0.1686  1 P 2.55, 1 Mg 2.58
Br: 0.2685 0.3379 0.1614  1 P 2.17
Br: 0.2991 0.3713 0.8505  1 P 2.17
Br: 0.4291 0.0273 0.5557  1 P 2.20
Br: 0.6593 0.0482 0.0317  1 Mg 2.42
Br: 0.6993 0.6391 0.3519  1 P 2.21
Br: 0.6997 0.6513 0.6611  1 P 2.21
Br: 0.7309 0.1363 0.3448  1 P 2.19
Br: 0.8273 0.1605 0.6491  1 P 2.20
Br: 0.8599 0.4488 0.9964  1 P 2.18
O: 0.0944 0.1712 0.9798  1 P 1.49
O: 0.4724 0.6385 0.0196  1 P 1.48
O: 0.4789 0.3199 0.5201  1 P 1.48
O: 0.9322 0.8154 0.4969  1 P 1.47


(2)
First-principles (PBE) data for crystalline MgP4Br12O4 at its relaxed geometry, as listed in the Materials Project.

Values from the calculation:
Its calculated density is 2.4 Mg/m³.

Lattice parameters (Å, degrees): 7.5792 9.8496 11.1209 88.17 82.44 79.12
Last column: nearest neighbours and their distance in Å.
Fractional coordinates of all 21 atoms:
Mg: 0.0000 0.0000 0.0000  1 O 1.98
P: 0.0539 0.1958 0.2281  1 O 1.50
P: 0.2412 0.2375 0.7319  1 O 1.48
P: 0.4235 0.6893 0.1552  1 O 1.50
P: 0.7565 0.7265 0.6027  1 O 1.47
Br: 0.0200 0.1037 0.7622  1 P 2.31
Br: 0.0932 0.4417 0.7906  1 P 2.18
Br: 0.1671 0.3819 0.2274  1 P 2.17
Br: 0.2137 0.0382 0.3329  1 P 2.19
Br: 0.2397 0.7903 0.9649  1 Mg 2.48, 1 P 2.74
Br: 0.4255 0.1547 0.8646  1 P 2.20
Br: 0.5789 0.9231 0.5628  1 P 2.21
Br: 0.5926 0.5677 0.5824  1 P 2.21
Br: 0.5954 0.5060 0.0423  1 P 2.32
Br: 0.6812 0.9880 0.0431  1 Mg 2.42
Br: 0.7834 0.2396 0.3302  1 P 2.18
Br: 0.9716 0.6955 0.4476  1 P 2.20
O: 0.0508 0.1443 0.1029  1 P 1.50
O: 0.2878 0.6318 0.2424  1 P 1.50
O: 0.3215 0.2296 0.6032  1 P 1.48
O: 0.8231 0.7246 0.7216  1 P 1.47


Bottom line: (1), by a margin of 0.017 eV/atom.


(1)
First-principles (PBE) data for crystalline MgTe4Pb6Br4O12 at its relaxed geometry, as listed in the Materials Project.

Values from the calculation:
Its calculated density is 6.6 Mg/m³.

Lattice parameters (Å, degrees): 9.5007 9.5007 11.3640 106.35 106.35 35.82
Last column: nearest neighbours and their distance in Å.
Fractional coordinates of all 27 atoms:
Mg: 0.0000 0.0000 0.0000  2 Br 2.55
Te: 0.0657 0.7390 0.4485  4 O 1.97-2.10
Te: 0.2610 0.9343 0.5515  4 O 1.97-2.10
Te: 0.5094 0.2272 0.9193  3 O 1.92-2.02
Te: 0.7728 0.4906 0.0807  3 O 1.92-2.02
Pb: 0.0032 0.6468 0.1008  5 O 2.44-2.67
Pb: 0.3532 0.9968 0.8992  5 O 2.44-2.67
Pb: 0.4217 0.0792 0.2929  4 O 2.39-2.66
Pb: 0.6272 0.3083 0.3006  3 O 2.41-2.46
Pb: 0.6917 0.3728 0.6994  3 O 2.41-2.46
Pb: 0.9208 0.5783 0.7071  4 O 2.39-2.66
Br: 0.1506 0.7644 0.7897  1 Mg 2.55
Br: 0.2356 0.8494 0.2103  1 Mg 2.55